-- Wanted --
What is needed: work out how many lines underneath have the word "this" in them; a number is enough.

-- Listing --
/*
Density functional theory data (PBE-GGA) for an optimized crystal structure of KTiIn.

Output
The value obtained for the distance to the lowest polymorph of the same formula is 1.89 eV/f.u.

a b c (Å): 5.3961 5.3961 3.1871
angles (deg): 90.00 90.00 120.00
Last column: nearest neighbours and their distance in Å.
Space group P-6m2 (No. 187)
Asymmetric unit:
K 0.0000 0.0000 0.0000 x1  2 K 3.19, 6 In 3.50, 6 Ti 3.50
Ti 0.6667 0.3333 0.5000 x1  3 In 3.12, 2 Ti 3.19
In 0.3333 0.6667 0.5000 x1  3 Ti 3.12, 2 In 3.19


DFT (PBE-GGA) results for an optimized crystal structure of AcTb3Nd5.

a b c (Å): 12.801 11.678 10.203
angles (deg): 90.00 105.93 90.00
Space group C2/m (No. 12)
Symmetry-distinct sites (fractional):
Ac 0.248 0.000 0.247 (multiplicity 4)
Tb 0.000 0.000 0.000 (multiplicity 2)
Tb 0.000 0.500 0.500 (multiplicity 2)
Tb 0.003 0.000 0.670 (multiplicity 4)
Tb 0.014 0.500 0.177 (multiplicity 4)
Nd 0.000 0.244 0.500 (multiplicity 4)
Nd 0.106 0.247 0.910 (multiplicity 8)
Nd 0.239 0.500 0.086 (multiplicity 4)
Nd 0.242 0.000 0.586 (multiplicity 4)

Crystal system = monoclinic
Formation energy = 4.5 eV per formula unit
Energy above the lowest structure with this stoichiometry = 0.311 eV/atom
Size of the total moment = 0.00 μB/f.u.

---

DFT (PBE-GGA) results for an optimized crystal structure of NdAlZn3Ag.

a b c (Å): 6.211 13.066 5.943
angles (deg): 90.00 90.00 90.00
Space group Cmcm (No. 63)
Symmetry-distinct sites (fractional):
Nd 0.000 0.201 0.250 (multiplicity 4)
Al 0.000 0.427 0.250 (multiplicity 4)
Zn 0.000 0.370 0.750 (multiplicity 4)
Zn 0.199 0.000 0.000 (multiplicity 8)
Ag 0.000 0.159 0.750 (multiplicity 4)

Crystal system = orthorhombic
Formation energy = -0.4 eV per formula unit
Size of the total moment = 0.00 μB/f.u.

---

DFT (PBE-GGA) results for an optimized crystal structure of Ba3YMg4.

a b c (Å): 4.133 4.133 17.440
angles (deg): 90.00 90.00 90.00
Space group P4/mmm (No. 123)
Symmetry-distinct sites (fractional):
Ba 0.000 0.000 0.000 (multiplicity 1)
Ba 0.000 0.000 0.269 (multiplicity 2)
Y 0.000 0.000 0.500 (multiplicity 1)
Mg 0.500 0.500 0.133 (multiplicity 2)
Mg 0.500 0.500 0.406 (multiplicity 2)

Crystal system = tetragonal
Formation energy = -0.3 eV per formula unit
Size of the total moment = 0.00 μB/f.u.

---

DFT (PBE-GGA) results for an optimized crystal structure of HgPPt2.

a b c (Å): 3.352 3.352 6.291
angles (deg): 90.00 90.00 90.00
Space group P4mm (No. 99)
Symmetry-distinct sites (fractional):
Hg 0.000 0.000 0.000 (multiplicity 1)
P 0.500 0.500 0.358 (multiplicity 1)
Pt 0.000 0.000 0.472 (multiplicity 1)
Pt 0.500 0.500 0.734 (multiplicity 1)

Crystal system = tetragonal
Formation energy = -0.2 eV per formula unit
Energy above the lowest structure with this stoichiometry = 0.071 eV/atom
Size of the total moment = 0.00 μB/f.u.

---

DFT (PBE-GGA) results for an optimized crystal structure of MgTaNi3.

a b c (Å): 4.902 12.831 4.534
angles (deg): 90.00 90.00 90.00
Space group Cmcm (No. 63)
Symmetry-distinct sites (fractional):
Mg 0.000 0.068 0.250 (multiplicity 4)
Ta 0.000 0.301 0.750 (multiplicity 4)
Ni 0.000 0.500 0.000 (multiplicity 4)
Ni 0.245 0.361 0.250 (multiplicity 8)

Crystal system = orthorhombic
Formation energy = -0.4 eV per formula unit
Energy above the lowest structure with this stoichiometry = 0.000 eV/atom
Size of the total moment = 0.00 μB/f.u.

---

DFT (PBE-GGA) results for an optimized crystal structure of GdSbSe2.

a b c (Å): 4.0746 4.0746 26.9350
angles (deg): 90.00 90.00 120.00
Space group R-3m (No. 166, hexagonal axes)
Symmetry-distinct sites (fractional):
Gd 0.0000 0.0000 0.0000 (multiplicity 3)
Sb 0.0000 0.0000 0.5000 (multiplicity 3)
Se 0.0000 0.0000 0.1057 (multiplicity 6)

Crystal system = trigonal
Size of the total moment = 7.08 μB/f.u.
Raw formation energy = -0.361 eV/atom

---

DFT (PBE-GGA) results for an optimized crystal structure of Na2InGa2.

a b c (Å): 7.104 7.104 4.933
angles (deg): 90.00 90.00 90.00
Space group P4/mbm (No. 127)
Symmetry-distinct sites (fractional):
*/

-- Result --
3